Doug, Stu, and I set out for the ECLSTS early Thursday morning and ran into a lake effect snowstorm between Watertown and Syracuse that closed Interstate 81 behind us. We crawled along at 30 MPH for about half an hour.
In the late afternoon we arrived at Ken Brunt’s to see his railway and enjoyed supper with him.
Back at the Holiday Inn the bar was packed with show attendees and vendors. A lot of us stayed until after last call.
The next day we walked into the show at about 10 AM. The large yellow Nicholas Smith bags were rolling out the doors in great numbers. There was a lot to see as usual, and it took me all morning to make my first pass through the show. The crowd was better than last year, and so were the bargains. Charles Ro was in great spirits when he stopped to talk to Ray in the Bachmann booth on Friday afternoon, so I assume sales were good for him as well.
While talking to Ray he showed us the inner workings of the C-19 he had working on rollers there. The tender had a plug-in Tsunami sound board in it. I am not sure I understood all that was said, but I think the sound board plugged into a factory installed DCC decoder. Ray was able to trigger the sound functions with a Bachmann push button base station. If anyone is more familiar with this perhaps they can verify what I have said. I would also like to know if the Super Socket used in previously made Spectrum locomotives for the Revolution receiver and QSI decoder with sound is under the decoder.
Although we had nothing on our wish list, we came home with almost $2,000 worth of train stuff after one day at the show. Some of our items were purchased from the LSC for Sale Section prior to the show and shipped to Ogdensburg so we could pick them up when we stopped for dinner Saturday evening at the Freight House Restaurant on our way home. It was a challenge getting everything in the SRX.
From LSC Member John in Denver:
6, USA Trains Ultimate Series 55 foot tank cars $320
1, USA Trains Ultimate Series 55 foot 4-bay hopper $60
From LSC Member Chuck in Idaho:
4, new in the box, Aristo-Craft 2-bay coal hoppers $32.50 each
3, new in the box, Aristo-Craft 2-door boxcars $32.50 each
1, new in the box, Aristo-Craft tank car $32.50
1, used Aristo-Craft tank car $32.50
1, used Aristo-Craft caboose $32.50
From LSC Member Jon Radder at the Drag and Brag:
1, new Aristo-Craft RDC-1 $100
From LSC Member Bruce Chandler at the Drag and Brag:
1, Rousseau hotel flat with finely detailed fire escape
- - -
Computed, not measured: an optimized crystal structure of AlFe2Mo at the PBE-GGA level of DFT.

Geometry as CIF:
```
data_AlFe2Mo
_chemical_formula_sum 'Al2 Fe4 Mo2'
_space_group_name_H-M_alt 'I -4 m 2'
_space_group_IT_number 119
_space_group_name_Hall 'I -4 -2'
_cell_length_a 3.601
_cell_length_b 3.601
_cell_length_c 8.019
_cell_angle_alpha 90.00
_cell_angle_beta 90.00
_cell_angle_gamma 90.00
loop_
_atom_site_label
_atom_site_type_symbol
_atom_site_fract_x
_atom_site_fract_y
_atom_site_fract_z
Al1 Al 0.000 0.000 0.000
Fe1 Fe 0.000 0.000 0.500
Fe2 Fe 0.000 0.500 0.750
Mo1 Mo 0.000 0.500 0.250
```

Values from the calculation:
**Volume**: 52.0 Å³/f.u.
**Calculated formation energy**: -21 kJ/mol of formula units


Computed, not measured: an optimized crystal structure of Hf3Co2Si3 at the PBE-GGA level of DFT.

Geometry as CIF:
```
data_Hf3Co2Si3
_chemical_formula_sum 'Hf12 Co8 Si12'
_space_group_name_H-M_alt 'C m c m'
_space_group_IT_number 63
_space_group_name_Hall '-C 2c 2'
_cell_length_a 3.823
_cell_length_b 9.941
_cell_length_c 12.807
_cell_angle_alpha 90.00
_cell_angle_beta 90.00
_cell_angle_gamma 90.00
loop_
_atom_site_label
_atom_site_type_symbol
_atom_site_fract_x
_atom_site_fract_y
_atom_site_fract_z
Hf1 Hf 0.000 0.075 0.117
Hf2 Hf 0.000 0.365 0.250
Co1 Co 0.000 0.220 0.582
Si1 Si 0.000 0.336 0.750
Si2 Si 0.000 0.390 0.042
```

Values from the calculation:
**Formation energy (no corrections)**: -0.850 eV per atom
**Volume**: 121.7 Å³/f.u.


Computed, not measured: an optimized crystal structure of Co5Hg3 at the PBE-GGA level of DFT.

Geometry as CIF:
```
data_Co5Hg3
_chemical_formula_sum 'Co20 Hg12'
_space_group_name_H-M_alt 'C 1 2/m 1'
_space_group_IT_number 12
_cell_length_a 4.649
_cell_length_b 15.614
_cell_length_c 7.567
_cell_angle_alpha 90.00
_cell_angle_beta 107.62
_cell_angle_gamma 90.00
loop_
_space_group_symop_operation_xyz
'x,y,z'
'-x,-y,-z'
'-x,y,-z'
'x,-y,z'
'x+1/2,y+1/2,z'
'-x+1/2,-y+1/2,-z'
'-x+1/2,y+1/2,-z'
'x+1/2,-y+1/2,z'
loop_
_atom_site_label
_atom_site_type_symbol
_atom_site_fract_x
_atom_site_fract_y
_atom_site_fract_z
Co1 Co 0.082 0.129 0.157
Co2 Co 0.128 0.424 0.252
Co3 Co 0.248 0.000 0.004
Hg1 Hg 0.000 0.301 0.000
Hg2 Hg 0.000 0.308 0.500
Hg3 Hg 0.190 0.000 0.388
```

Values from the calculation:
**Energy relative to the lowest polymorph listed for this composition**: 0.000 eV/atom
**Volume**: 130.9 Å³/f.u.
**Calculated formation energy**: 348 kJ/mol of formula units


Record 1
# PBE-GGA Ho4MgZnRu2, relaxed
data_Ho4MgZnRu2
_cell_length_a 8.5805
_cell_length_b 8.5805
_cell_length_c 8.5805
_cell_angle_alpha 33.45
_cell_angle_beta 33.45
_cell_angle_gamma 33.45
_space_group_name_H-M_alt 'P 1'
_space_group_IT_number 1
_space_group_name_Hall 'P 1'
loop_
_atom_site_label
_atom_site_type_symbol
_atom_site_fract_x
_atom_site_fract_y
_atom_site_fract_z
Ho1 Ho 0.1221 0.1221 0.1221
Ho2 Ho 0.3726 0.3726 0.3726
Ho3 Ho 0.6274 0.6274 0.6274
Ho4 Ho 0.8779 0.8779 0.8779
Mg1 Mg 0.5000 0.5000 0.5000
Zn1 Zn 0.0000 0.0000 0.0000
- - -
At the show:
1, new LGB brown crocodile $349
1, new USA Trains vintage GP-9 $149
1, new USA Trains vintage show car $50
........
Record 1
Entry from OQMD: crystalline Tb4GaSbS9 at its relaxed geometry (PBE).

Unit cell a=13.556 b=9.922 c=9.922 alpha=88.83 beta=90.00 gamma=90.00
Sites, in units of the cell vectors:
Ga1 0.591 0.388 0.177
Ga2 0.409 0.177 0.388
Ga3 0.909 0.888 0.677
Ga4 0.091 0.677 0.888
S1 0.500 0.004 0.004
S2 0.190 0.679 0.077
S3 0.082 0.349 0.161
S4 0.100 0.982 0.163
S5 0.690 0.577 0.179
S6 0.431 0.689 0.180
S7 0.698 0.206 0.181
S8 0.931 0.680 0.189
S9 0.302 0.181 0.206
S10 0.918 0.161 0.349
S11 0.755 0.891 0.357
S12 0.500 0.375 0.375
S13 0.247 0.497 0.381
S14 0.512 0.994 0.385
S15 0.255 0.857 0.391
S16 0.600 0.663 0.482
S17 0.012 0.885 0.494
S18 0.753 0.381 0.497
S19 0.000 0.504 0.504
S20 0.310 0.179 0.577
S21 0.418 0.849 0.661
S22 0.400 0.482 0.663
S23 0.810 0.077 0.679
S24 0.069 0.189 0.680
S25 0.802 0.706 0.681
S26 0.569 0.180 0.689
S27 0.198 0.681 0.706
S28 0.582 0.661 0.849
S29 0.745 0.391 0.857
S30 0.000 0.875 0.875
S31 0.253 0.997 0.881
S32 0.988 0.494 0.885
S33 0.245 0.357 0.891
S34 0.900 0.163 0.982
S35 0.488 0.385 0.994
S36 0.747 0.881 0.997
Sb1 0.887 0.328 0.165
Sb2 0.113 0.165 0.328
Sb3 0.613 0.828 0.665
Sb4 0.387 0.665 0.828
Tb1 0.315 0.457 0.126
Tb2 0.312 0.909 0.128
Tb3 0.896 0.948 0.168
Tb4 0.600 0.838 0.182
Tb5 0.100 0.682 0.338
Tb6 0.812 0.628 0.409
Tb7 0.396 0.668 0.448
Tb8 0.685 0.126 0.457
Tb9 0.185 0.957 0.626
Tb10 0.188 0.409 0.628
Tb11 0.604 0.448 0.668
Tb12 0.900 0.338 0.682
Tb13 0.400 0.182 0.838
Tb14 0.688 0.128 0.909
Tb15 0.104 0.168 0.948
Tb16 0.815 0.626 0.957

## Properties
Total energy, eV/atom: -5.74

---

Record 2
Entry from OQMD: crystalline ZnGa2SeS3 at its relaxed geometry (PBE).

Unit cell a=5.393 b=5.407 c=6.473 alpha=113.77 beta=113.96 gamma=90.76
Sites, in units of the cell vectors:
Ga1 0.758 0.258 0.504
Ga2 0.503 0.494 0.996
S1 0.883 0.390 0.256
S2 0.613 0.620 0.737
S3 0.130 0.121 0.737
Se1 0.372 0.865 0.273
Zn1 0.992 0.003 0.995

## Properties
Total energy, eV/atom: -4.02

---

Record 3
Entry from OQMD: crystalline Zn2GaSe2S at its relaxed geometry (PBE).

Unit cell a=7.058 b=7.058 c=7.097 alpha=99.65 beta=99.65 gamma=119.90
Sites, in units of the cell vectors:
Ga1 0.090 0.908 0.491
Ga2 0.908 0.090 0.991
S1 0.296 0.456 0.128
S2 0.456 0.296 0.628
Se1 0.944 0.771 0.102
Se2 0.593 0.117 0.124
Se3 0.771 0.944 0.602
Se4 0.117 0.593 0.624
Zn1 0.407 0.559 0.487
Zn2 0.721 0.242 0.498
Zn3 0.559 0.407 0.987
Zn4 0.242 0.721 0.998

## Properties
Total energy, eV/atom: -3.31

---

Record 4
Entry from OQMD: crystalline ZnGa2Se3S at its relaxed geometry (PBE).

Unit cell a=5.539 b=5.547 c=6.684 alpha=114.50 beta=113.80 gamma=90.60
Sites, in units of the cell vectors:
Ga1 0.746 0.259 0.505
Ga2 0.504 0.504 0.996
S1 0.613 0.622 0.741
Se1 0.370 0.865 0.268
Se2 0.896 0.404 0.268
Se3 0.130 0.105 0.728
Zn1 0.991 0.991 0.995

## Properties
Total energy, eV/atom: -3.79

---

Record 5
Entry from OQMD: crystalline SmGa3S at its relaxed geometry (PBE).

Unit cell a=4.868 b=4.868 c=4.868 alpha=90.00 beta=90.00 gamma=90.00
........
1, new Aristo-Craft aluminum dining car $125
1, new excellent quality lighted magnifier $60
1, very large box of new tie strips $300
About $100 worth of small tools, metal wheel sets, live steam butane valve, etc.
I only have two pictures. They were taken in the alcove when we stopped for a rest around lunch time.
Bob McCown in beige, Doug Matheson with his back to us, Doc Watson across from Doug, and Bill Seabrooke on the far right. I did meet the gentleman in the corner, but cannot remember his name.
Jan Golding standing, someone sitting next to her that I did not meet, Jon Radder and Ric Golding sitting behind Jan, and Andy Clarke holding one of the ever popular Nicholas Smith bags.
After they show we had a steak dinner in the hotel bar and were joined by Bob McCown, Stan Cedarleaf, Jean and Bruce Chandler. Then it was on to the Drag and Brag. There were at least twice as many people as last year. I think everyone was so busy admiring the displayed models and talking, that no pictures were taken. My voice is still a little hoarse from talking over the crowd noise.
The only down side to the trip, I gained five pounds in three days.